== Exercise ==
Copy the entries underneath from the line with "0.684) x16" to the end verbatim.

== Entries ==
## MnPO4 (PBE+U)

Data for MnPO4 after structural relaxation.

Maximum piezoelectric response ... 1.03 C/m²
VASP energy ... -7.34 eV/atom

Cell lengths 9.305, 4.917, 9.118 Å; angles 90.00, 115.94, 90.00 degrees
Space group Cc (No. 9)
Inequivalent atoms, fractional coordinates:
Mn (0.000, 0.216, 0.000) x4
P (0.118, 0.276, 0.369) x4
O (0.098, 0.130, 0.509) x4
O (0.108, 0.413, 0.895) x4
O (0.278, 0.207, 0.364) x4
O (0.483, 0.312, 0.701) x4

=====

## MnPO4 (PBE+U)

Data for MnPO4 after structural relaxation.

VASP energy ... -7.34 eV/atom

Cell lengths 5.624, 6.330, 9.709 Å; angles 76.62, 79.74, 76.69 degrees
Space group P-1 (No. 2)
Inequivalent atoms, fractional coordinates:
Mn (0.129, 0.105, 0.174) x2
Mn (0.274, 0.176, 0.578) x2
P (0.185, 0.699, 0.549) x2
P (0.316, 0.832, 0.915) x2
O (0.050, 0.210, 0.356) x2
O (0.101, 0.732, 0.401) x2
O (0.153, 0.663, 0.926) x2
O (0.183, 0.030, 0.802) x2
O (0.302, 0.899, 0.060) x2
O (0.306, 0.460, 0.609) x2
O (0.379, 0.851, 0.540) x2
O (0.413, 0.242, 0.145) x2

=====

## Mn3P2O8 (PBE+U)

Data for Mn3P2O8 after structural relaxation.

Energy above the most stable polymorph in this dataset ... 5 meV per atom

Cell lengths 5.316, 6.777, 10.121 Å; angles 90.00, 116.46, 90.00 degrees
Space group P2_1/c (No. 14)
Inequivalent atoms, fractional coordinates:
Mn (0.000, 0.000, 0.000) x2
Mn (0.285, 0.156, 0.372) x4
P (0.344, 0.667, 0.307) x4
O (0.131, 0.709, 0.145) x4
O (0.236, 0.014, 0.863) x4
O (0.359, 0.127, 0.183) x4
O (0.370, 0.657, 0.911) x4

=====

## MnPO4 (PBE+U)

Data for MnPO4 after structural relaxation.

VASP energy ... -7.35 eV/atom

Cell lengths 14.3278, 14.3278, 9.3775 Å; angles 90.00, 90.00, 120.00 degrees
Space group R3 (No. 146, hexagonal axes)
Inequivalent atoms, fractional coordinates:
Mn (0.0056, 0.2139, 0.0000) x9
Mn (0.1357, 0.6806, 0.1816) x9
P (0.0096, 0.2045, 0.6642) x9
P (0.1370, 0.6724, 0.8333) x9
O (0.0154, 0.3135, 0.6258) x9
O (0.0185, 0.6487, 0.8252) x9
O (0.0590, 0.2096, 0.8130) x9
O (0.0732, 0.1814, 0.5503) x9
O (0.0960, 0.1931, 0.1273) x9
O (0.1819, 0.7075, 0.9848) x9
O (0.2016, 0.7641, 0.7278) x9
O (0.2155, 0.4377, 0.3280) x9

=====

## Mn4P3O12 (PBE+U)

Data for Mn4P3O12 after structural relaxation.

Energy above the most stable polymorph in this dataset ... 4 meV per atom

Cell lengths 6.774, 6.774, 19.589 Å; angles 90.00, 90.00, 90.00 degrees
Space group I-42d (No. 122)
Inequivalent atoms, fractional coordinates:
Mn (0.000, 0.000, 0.231) x8
Mn (0.249, 0.750, 0.625) x8
P (0.000, 0.000, 0.000) x4
P (0.156, 0.250, 0.625) x8
O (0.006, 0.201, 0.684) x16
O (0.066, 0.685, 0.208) x16
O (0.069, 0.721, 0.397) x16

----------

! LiGd2Ir (PBE-GGA, relaxed); values from VASP
&SYSTEM
  ibrav = 0, nat = 4, ntyp = 3
/
ATOMIC_SPECIES
Li 6.94 Li.upf
Gd 157.25 Gd.upf
Ir 192.22 Ir.upf
ATOMIC_POSITIONS angstrom
Li 5.272 5.267 5.277
Gd 3.515 3.512 3.519
Gd 3.520 7.014 3.519
Ir 1.757 1.756 1.758
CELL_PARAMETERS angstrom
0.010 3.506 3.513
3.509 0.007 3.516
3.510 3.509 0.007
! E_tot in eV/atom: -10.246
! SG: C2/m
! Energy of formation from the pure elements in eV/atom: -0.5213

== Outcome ==
O (0.006, 0.201, 0.684) x16
O (0.066, 0.685, 0.208) x16
O (0.069, 0.721, 0.397) x16

----------

! LiGd2Ir (PBE-GGA, relaxed); values from VASP
&SYSTEM
  ibrav = 0, nat = 4, ntyp = 3
/
ATOMIC_SPECIES
Li 6.94 Li.upf
Gd 157.25 Gd.upf
Ir 192.22 Ir.upf
ATOMIC_POSITIONS angstrom
Li 5.272 5.267 5.277
Gd 3.515 3.512 3.519
Gd 3.520 7.014 3.519
Ir 1.757 1.756 1.758
CELL_PARAMETERS angstrom
0.010 3.506 3.513
3.509 0.007 3.516
3.510 3.509 0.007
! E_tot in eV/atom: -10.246
! SG: C2/m
! Energy of formation from the pure elements in eV/atom: -0.5213